After over a decade of thorough development, Enerocean’s W2Power floating wind power solution is set to be deployed across the globe by 2030.
Offshore wind power in recent years has been a success story, adding Gigawatts (GW) of new renewable power capacity each year. Offshore wind farms can access stronger and more stable winds at sea, as well as having less conflict for use of space than on land. The use of bottom-fixed foundations – mostly steel monopiles piled deep into the seabed – and wind turbines of ever greater size and power have driven costs to market parity in lead countries such as Denmark, the UK, Germany, Belgium, the Netherlands, and China.
However, the vast majority of countries worldwide lack large and windy sea areas shallow enough to build offshore wind farms by conventional methods. Neither monopiles nor other fixed foundations have much economic prospect in seas deeper than 40 to 50m, because their need for construction material and, consequently, cost increases proportionately with depth. Spreading the success of offshore wind power beyond shallow waters of the southern North Sea, its adjoining seas, and the East China Sea requires floating solutions. It is unsurprising that floating wind, long seen as a far-future prospect, has entered the mainstream focus of energy business managers, investors and policymakers as important tools for reaching ever-more ambitious decarbonisation goals.
Floating, therefore, is the key enabler for making offshore wind power generation truly global. But floating will only realise its potential if it is cost-competitive with other renewable technologies. For many countries, this is onshore wind, while for countries that have both shallow and deep seas – notably France, the US, and China – the benchmark is likely to be bottom-fixed offshore wind.
Floating wind power is not a new idea – serious engineering efforts on designing floating wind technologies go back at least 30 years.1 In the mid-2000s, many observers expected floating to blaze a rapid path to market as early designs entered sea trials. However, in the real world, the high cost of prototypes, failed full-size demonstrations such as Japan’s Fukushima FORWARD project, and, above all, the late but definite maturing of bottom-fixed offshore wind farms (whose cost have dropped by more than half since 2015) prevented this from happening.
W2Power floating wind power solution
W2Power is a mature, robust, and cost-efficient floating wind power solution suitable for any offshore sites from 50m to beyond 1000m depth. It has unique technical advantages that offer the prospect of reducing the cost-efficiency of floating to approach or surpass that of conventional offshore wind.
The W2Power floating solution has been in continuous development over more than a decade since its patenting2 and subsequent market introduction as a concept,3 both in 2009. Owned by Spanish company Enerocean, its lead developer since 2012, the technology has been refined and engineered, advancing systematically up the Technology Readiness Level (TRL) scale. Funded by a string of EU and National R&D projects, it has completed multiple design revisions, wave-tank testing, and component and subsystem improvements which allowed TRL 5 to be reached in June 2015.4

W2Power achieved TRL 6 by successful deployment in the open sea. A fully functional prototype completed four months at sea, closely monitored. The prototype being a 1:6 scale offers accelerated testing of survivability and, above all, fatigue damage to the structure. Its seaworthiness was proven by operating through seven storms of more than 4m waves – the highest waves of 5.3m – corresponding to >30m waves on a full-size platform, without any incident or need for intervention. The platform confirmed its excellent hydrodynamic behaviour and the simple tow-out, installation and mooring hook-up was proven. When the tests were completed, as planned and on schedule, the platform was towed back to yard and careful inspection showed no signs of damage.
The prototype remains at quayside, ready for new rounds of sea testing planned, among other objectives, to prove its multi-use properties.
Current status
It was recently observed by consultancy Wood Mackenzie that floating wind power needs to break the vicious circle of being more expensive than bottom-fixed, which prevents major buildouts of capacity as long as the cost premium of floating is perceived as too high by investors.5
Today, W2Power is the leading runner-up behind the four floating concepts that have reached higher technical – but not commercial – maturity: two spar-buoy technologies, Equinor’s Hywind, Principle Power’s WindFloat™ semisubmersible, and a barge by BW Ideol.
Many other floating technologies exist, at varying stages of maturity up to TRL 5. Some developers are expected to announce soon if their ongoing sea-testing campaigns are successful, as W2Power achieved in 2019. The increased cost of reaching TRL of 7 and above (full size installations, probably in arrays) has led to an increasing number of alliances being formed between developers and large energy players. One example is Enerocean’s investment and strategic collaboration agreement with Italy-based energy major Eni (Plenitude subsidiary) announced in April 2022.6
Technical = cost advantages
Whilst all other mature designs dedicate one floater to support each wind turbine, W2Power uses a pair of wind turbines whose nacelles are located beyond the area of the floating support (patent protected feature) to reach very high power ratings without a proportional increase in rotor diameter and need for construction steel. Using large, proven offshore turbines available from multiple original equipment manufacturers (OEMs) offers further advantages in turbine per-MW cost, reliability and market access compared to single-turbine floaters employing the latest 14 MW turbine designs. Current fully engineered forms of W2Power (see Fig. 2 below) are rated at 11 to 16 MW using a pair of 5.5 to 8 MW rated turbines with rotor diameters of up to 167m. This is a higher power rating than any other mature floating wind technology. Designs for next-generation 20+MW rated platforms are in progress.

== Between two parts of the article: crystal structures ==
........
Structure and simulated powder X-ray diffraction pattern of Y2Al9Ir3 (a structure optimized by DFT (GGA-PBE); copper Kα).

Structure:
a = 7.577 Å, b = 7.577 Å, c = 10.466 Å
α = 111.27°, β = 111.27°, γ = 59.75°
Atoms (fractional coordinates):
Y 0.086 0.252 0.250
Y 0.252 0.086 0.750
Y 0.748 0.914 0.250
Y 0.914 0.748 0.750
Al 0.025 0.857 0.074
Al 0.143 0.975 0.426
Al 0.192 0.358 0.571
Al 0.212 0.581 0.252
Al 0.315 0.483 0.946
Al 0.358 0.192 0.071
Al 0.371 0.629 0.750
Al 0.419 0.788 0.248
Al 0.483 0.315 0.446
Al 0.517 0.685 0.554
Al 0.581 0.212 0.752
Al 0.629 0.371 0.250
Al 0.642 0.808 0.929
Al 0.685 0.517 0.054
Al 0.788 0.419 0.748
Al 0.808 0.642 0.429
Al 0.857 0.025 0.574
Al 0.975 0.143 0.926
Ir 0.000 0.500 0.000
Ir 0.156 0.672 0.499
Ir 0.328 0.844 0.001
Ir 0.500 0.000 0.500
Ir 0.672 0.156 0.999
Ir 0.844 0.328 0.501

Main lines, in order of rising 2θ (2θ = 15–90°):
- 4.753 Å, 18.7°, intensity 28
- 3.784 Å, 23.5°, intensity 54
- 2.960 Å, 30.2°, intensity 100
- 2.376 Å, 37.9°, intensity 19
- 2.182 Å, 41.4°, intensity 36
- 2.012 Å, 45.0°, intensity 29

Structure and simulated powder X-ray diffraction pattern of Y2AlAu4 (a structure optimized by DFT (GGA-PBE); copper Kα).

Structure:
a = 4.557 Å, b = 4.557 Å, c = 8.920 Å
α = 105.32°, β = 105.32°, γ = 59.24°
Atoms (fractional coordinates):
Y 0.071 0.071 0.224
Y 0.929 0.929 0.776
Al 0.500 0.500 0.500
Au 0.198 0.198 0.590
Au 0.316 0.316 0.945
Au 0.684 0.684 0.055
Au 0.802 0.802 0.410

Main lines, in order of rising 2θ (2θ = 15–90°):
- 3.774 Å, 23.6°, intensity 25
- 3.748 Å, 23.7°, intensity 52
- 2.476 Å, 36.3°, intensity 100
- 2.278 Å, 39.6°, intensity 70
- 2.253 Å, 40.0°, intensity 34
- 2.133 Å, 42.4°, intensity 23

Structure and simulated powder X-ray diffraction pattern of Sm3In2Rh3 (a structure optimized by DFT (GGA-PBE); copper Kα).

Structure:
a = 8.302 Å, b = 8.302 Å, c = 5.990 Å
α = 90.00°, β = 90.00°, γ = 120.00°
Atoms (fractional coordinates):
Sm 0.000 0.271 0.250
Sm 0.000 0.729 0.750
Sm 0.271 0.000 0.250
Sm 0.271 0.271 0.750
Sm 0.729 0.000 0.750
Sm 0.729 0.729 0.250
In 0.333 0.667 0.000
In 0.333 0.667 0.500
In 0.667 0.333 0.000
In 0.667 0.333 0.500
Rh 0.000 0.395 0.750
Rh 0.000 0.605 0.250
Rh 0.395 0.000 0.750
Rh 0.395 0.395 0.250
Rh 0.605 0.000 0.250
Rh 0.605 0.605 0.750

Main lines, in order of rising 2θ (2θ = 15–90°):
- 2.995 Å, 29.8°, intensity 27
- 2.717 Å, 33.0°, intensity 25
- 2.475 Å, 36.3°, intensity 98
- 2.429 Å, 37.0°, intensity 100
- 2.397 Å, 37.5°, intensity 74
- 1.609 Å, 57.3°, intensity 26
........
The advantages of W2Power over competing solutions draw closely upon, and enhance, the principal advantages of the design. Key innovative features related to the floater structure, its optimisation for hydrodynamics as well as mass-manufacturing, mooring/station keeping, towers, control systems and condition monitoring all translate to lower cost per MW installed, by which criterion W2Power is the clear cost leader in floating wind. These cost advantages will be the subject of further articles in the same source planned for March and September 2023.
-- begin --
(1)
# Ta5Mo3
Calculated XRD peak list, Cu Kα. Input: a cell relaxed with GGA-PBE.
Neutral-atom scattering factors, no anomalous dispersion.

a b c (Å): 4.5988 4.5988 13.0004
angles (deg): 90.00 90.00 90.00
Space group I4/mmm (No. 139)
Asymmetric unit:
Ta 0.0000 0.0000 0.0000
Ta 0.0000 0.5000 0.1274
Mo 0.0000 0.0000 0.2481
Mo 0.0000 0.0000 0.5000

Top 6 peaks for 2θ = 10–90°, in order of rising 2θ:
d/Å  I (rel.)  index
3.251  5  1 1 0
2.299  100  2 0 0
1.626  17  2 2 0
1.454  2  3 1 0
1.327  35  3 1 4
1.150  11  4 0 0

(2)
# Cs2K4SnSb2
Calculated XRD peak list, Cu Kα. Input: a cell relaxed with GGA-PBE.
Neutral-atom scattering factors, no anomalous dispersion.

a b c (Å): 5.9031 9.0405 15.6729
angles (deg): 90.00 90.00 90.00
Space group Immm (No. 71)
Asymmetric unit:
Cs 0.0000 0.0000 0.1357
K 0.0000 0.1993 0.3641
Sn 0.0000 0.5000 0.0000
Sb 0.0000 0.5000 0.2054

Top 6 peaks for 2θ = 10–90°, in order of rising 2θ:
d/Å  I (rel.)  index
5.524  45  1 0 1
4.521  61  0 2 0
3.498  100  1 2 1
3.070  99  1 1 4
2.960  84  0 1 5
2.952  50  2 0 0

(3)
# Hf2SiHIr6
Calculated XRD peak list, Cu Kα. Input: a cell relaxed with GGA-PBE.
Neutral-atom scattering factors, no anomalous dispersion.

a b c (Å): 5.9333 5.9531 8.4013
angles (deg): 90.00 90.00 90.00
Space group Immm (No. 71)
Asymmetric unit:
Hf 0.0000 0.0000 0.2504
Si 0.0000 0.5000 0.0000
H 0.0000 0.5000 0.5000
Ir 0.0000 0.5000 0.2665
Ir 0.2342 0.2670 0.5000

Top 6 peaks for 2θ = 10–90°, in order of rising 2θ:
d/Å  I (rel.)  index
2.426  100  2 0 2
2.101  53  2 2 0
1.485  23  2 2 4
1.483  6  4 0 0
1.268  18  0 2 6
1.266  18  4 2 2

(4)
# CaMo2N
Calculated XRD peak list, Cu Kα. Input: a cell relaxed with GGA-PBE.
Neutral-atom scattering factors, no anomalous dispersion.

a b c (Å): 8.8224 8.8224 8.8224
angles (deg): 90.00 90.00 90.00
Space group Fd-3m (No. 227, origin choice 2)
Asymmetric unit:
Ca 0.1250 0.1250 0.1250
Mo 0.0000 0.0000 0.5000
N 0.1250 0.1250 0.6250

Top 6 peaks for 2θ = 10–90°, in order of rising 2θ:
d/Å  I (rel.)  index
5.094  76  1 1 1
2.660  100  3 1 1
2.547  81  2 2 2
1.698  33  5 1 1
1.560  41  4 4 0
1.330  30  6 2 2

~~~~~

Entry 1:
Tl2HgPd7S2: simulated XRD peak list (Cu Kα (weighted mean of Kα1 and Kα2)), based on a structure optimized by DFT (GGA-PBE).
No peak broadening, texture or thermal motion is included.

Crystal structure
```
data_Tl2HgPd7S2
_chemical_formula_sum 'Tl2 Hg1 Pd7 S2'
_symmetry_space_group_name_H-M 'P 1'
_symmetry_Int_Tables_number 1
_symmetry_space_group_name_Hall 'P 1'
_cell_length_a 4.0230
_cell_length_b 4.0230
_cell_length_c 14.2124
_cell_angle_alpha 94.70
_cell_angle_beta 94.70
_cell_angle_gamma 89.78
loop_
_atom_site_label
_atom_site_type_symbol
_atom_site_fract_x
_atom_site_fract_y
_atom_site_fract_z
_atom_site_occupancy
Tl1 Tl 0.0965 0.0965 0.3998 1
Tl2 Tl 0.9035 0.9035 0.6002 1
Hg1 Hg 0.0000 0.0000 0.0000 1
Pd1 Pd 0.0434 0.5437 0.1503 1
Pd2 Pd 0.4134 0.4134 0.5912 1
Pd3 Pd 0.4563 0.9566 0.8497 1
Pd4 Pd 0.5000 0.5000 0.0000 1
Pd5 Pd 0.5437 0.0434 0.1503 1
-- stop --
Pre-commercial full-size pilot deployment is in progress in the Canary Islands. The further pipeline includes commercial wind farms off the Iberian peninsula, the Mediterranean and other seas. Multi-GW deployment of W2Power worldwide is targeted for 2030.
********
[1]
For Na2Be2Cd3, a DFT-relaxed cell (PBE, OQMD) gives the simulated powder diffractogram in this record (Cu Kα).
Peak positions follow from Bragg's law for the DFT cell and can differ from measured ones.

Structural model:
Lattice parameters (Å, degrees): 7.913 7.913 7.913 33.07 33.07 33.07
Atoms (fractional coordinates):
Na  0.000  0.000  0.000
Na  0.385  0.385  0.385
Be  0.138  0.138  0.138
Be  0.628  0.628  0.628
Cd  0.253  0.253  0.253
Cd  0.517  0.517  0.517
Cd  0.782  0.782  0.782

Main lines, in order of rising 2θ (2θ from 10° to 80°):
7.473 Å, rel. 44.0
3.202 Å, rel. 100.0
2.475 Å, rel. 32.1
2.276 Å, rel. 44.1
2.252 Å, rel. 61.8
1.842 Å, rel. 20.0
1.806 Å, rel. 14.7
1.426 Å, rel. 16.5

---

[2]
For TbPmZn4, a DFT-relaxed cell (PBE, OQMD) gives the simulated powder diffractogram in this record (Cu Kα).
Peak positions follow from Bragg's law for the DFT cell and can differ from measured ones.

Structural model:
Lattice parameters (Å, degrees): 7.920 7.991 5.422 90.00 90.00 90.00
Atoms (fractional coordinates):
Tb  0.000  0.000  0.000
Tb  0.500  0.500  0.000
Pm  0.000  0.500  0.500
Pm  0.500  0.000  0.500
Zn  0.000  0.150  0.500
Zn  0.000  0.850  0.500
Zn  0.154  0.500  0.000
Zn  0.346  0.000  0.000
Zn  0.500  0.350  0.500
Zn  0.500  0.650  0.500
Zn  0.654  0.000  0.000
Zn  0.846  0.500  0.000

Main lines, in order of rising 2θ (2θ from 10° to 80°):
3.995 Å, rel. 100.0
3.960 Å, rel. 94.8
3.904 Å, rel. 44.1
2.711 Å, rel. 79.0
2.289 Å, rel. 72.2
2.275 Å, rel. 71.0
2.243 Å, rel. 42.9
1.772 Å, rel. 88.0

---

[3]
For ZnBiB4, a DFT-relaxed cell (PBE, OQMD) gives the simulated powder diffractogram in this record (Cu Kα).
Peak positions follow from Bragg's law for the DFT cell and can differ from measured ones.

Structural model:
Lattice parameters (Å, degrees): 3.122 3.122 8.171 90.00 90.00 120.00
Atoms (fractional coordinates):
Zn  0.000  0.000  0.000
Bi  0.000  0.000  0.500
B  0.333  0.667  0.200
B  0.333  0.667  0.800
B  0.667  0.333  0.200
B  0.667  0.333  0.800

Main lines, in order of rising 2θ (2θ from 10° to 80°):
8.171 Å, rel. 59.5
4.085 Å, rel. 56.1
2.703 Å, rel. 67.3
2.567 Å, rel. 33.4
2.254 Å, rel. 100.0
1.630 Å, rel. 32.7
1.561 Å, rel. 17.5
1.458 Å, rel. 20.0

---

[4]
For DyNiSb, a DFT-relaxed cell (PBE, OQMD) gives the simulated powder diffractogram in this record (Cu Kα).
Peak positions follow from Bragg's law for the DFT cell and can differ from measured ones.

Structural model:
Lattice parameters (Å, degrees): 7.024 7.024 4.309 90.00 90.00 120.00
Atoms (fractional coordinates):
Dy  0.000  0.575  0.000
Dy  0.425  0.425  0.000
Dy  0.575  0.000  0.000
Ni  0.000  0.247  0.500
Ni  0.247  0.000  0.500
Ni  0.753  0.753  0.500
Sb  0.000  0.000  0.000
Sb  0.333  0.667  0.500
Sb  0.667  0.333  0.500

Main lines, in order of rising 2θ (2θ from 10° to 80°):
2.722 Å, rel. 66.7
2.485 Å, rel. 100.0
2.299 Å, rel. 26.1
2.154 Å, rel. 27.5
2.028 Å, rel. 33.7
1.571 Å, rel. 32.9
1.329 Å, rel. 18.0
1.328 Å, rel. 22.4

---

[5]
********
- A Henderson et al. ‘Floating offshore wind farms – An option?’, paper presented at Offshore Wind Energy in Mediterranean and Other European Seas (OWEMES) conference, Siracusa, Sicily April 2000
- D Røyseth, ‘Floating, anchored installation for energy production’, EP 2 411 671 B1, priority date 23.03.2009
- All-Energy D Røyseth, R Hezari, Jan Erik Hanssen, W2Power: Combining wind and waves, Proc. 2009 All-Energy Conference & Exhibition, Aberdeen (Scotland) 17 May 2009
- J E Hanssen, Pedro Mayorga et al.: ‘Design and Performance Validation of a Hybrid Offshore Renewable Energy Platform’, presented at 10th International Conference on Ecological Vehicles & Renewable Energies EVER-2015, Monte-Carlo (Monaco) 31 March – 2 April 2015)
- S Lassen and F Clark ‘Floating wind: what will you be competing with and what will you be competing on?’ Wood Mackenzie report June 2022.
- Offshore Engineer,’Eni’s Plenitude to invest in Spanish floating wind tech company Enerocean’ 22.04.2022
Please note, this article will also appear in the eleventh edition of our quarterly publication.